Standsted Airport Runway Rehabilitation

Design Management

Project summary

Stansted Aiport is one of the busiest single runway airports in Europe. In 2019 it was the third busiest air freight hub in the UK and fourth busiest for passengers. It is also Ryanair’s largest and most profitable base. The airport is a strategic national security asset serving as the designated diversion airport for any hijackings in UK airspace, while being home to specialist VIP FBOs handling visiting dignatories including Air Force One.

The airport’s runway last underwent a major rehabilitation in 2006 and was, by 2022, at the end of its service life. The project necessitated the removal of 120mm of existing surfacing and its replacement with 140mm of new grooved Marshall Asphalt. Deeper inlays were also identified in targeted areas. Works also inlcuded resurfacing the Romeo-Sierra lead-on pinch points, the replacement of the runway edge drainage collection system and new runway centreline primary cabling and transformers.

# 1
ORCA calculation (ωB97M-V/def2-TZVPD) on 11 unconnected molecules or ions with the total composition C19H39Cl12FN4O11.

* charge: 0
* SMILES: O=C1OC[C@@H](F)O1.C[N+](=O)[O-].C[N+](=O)[O-].C[N+](=O)[O-].C[N+](=O)[O-].ClCCCl.ClCCCl.ClCCCl.ClCCCl.ClCCCl.ClCCCl
* strongest force on any atom: 6.05 eV/Å
* M: 944.0 g mol⁻¹
* total energy: -201791.7828 eV
* gap between HOMO and LUMO: 10.59 eV
* LUMO level: -0.1 eV
* HOMO level: -10.68 eV

Last column: Mulliken charge in e.
Positions of all 86 atoms, in Å:
O -18.0388 6.5971 29.9221  -0.58
C -19.1066 7.0961 30.1797  0.70
O -19.5507 8.1628 29.4959  -0.32
C -20.8061 8.5702 30.0733  -0.33
C -20.9785 7.5858 31.2409  0.32
F -22.1849 7.0533 31.2566  -0.26
O -19.9366 6.6474 31.0079  -0.28
H -20.7453 9.5848 30.4671  0.25
H -21.6605 8.4981 29.4004  0.26
H -20.8660 8.1339 32.1763  0.23
C -20.8963 8.7903 39.7276  -0.68
N -21.9967 8.8714 38.6886  0.79
O -22.2116 9.8976 38.0225  -0.50
O -22.7450 7.9094 38.5859  -0.48
H -20.0366 8.4233 39.1670  0.28
H -21.1560 8.1565 40.5755  0.29
H -20.5457 9.7436 40.1230  0.30
C -12.9905 10.7531 30.8605  -0.63
N -13.7967 11.6772 31.6126  0.79
O -15.0171 11.6095 31.6008  -0.49
O -13.1979 12.6154 32.1795  -0.50
H -12.5558 11.3545 30.0622  0.26
H -13.6957 9.9821 30.5501  0.30
H -12.2399 10.2898 31.5009  0.27
C -27.8851 1.4406 33.7013  -0.69
N -27.3227 0.0668 33.8368  0.81
O -27.6612 -0.8078 33.0321  -0.50
O -26.4699 -0.1117 34.7126  -0.49
H -27.2651 2.2364 34.1141  0.30
H -28.9055 1.5339 34.0731  0.28
H -27.9094 1.6006 32.6234  0.30
C -14.6547 8.2871 23.9447  -0.65
N -15.3219 9.6093 23.9175  0.79
O -16.1264 9.7733 22.9656  -0.50
O -14.9833 10.4734 24.7102  -0.49
H -13.8881 8.2391 23.1713  0.27
H -15.4498 7.5773 23.7166  0.29
H -14.3612 8.0037 24.9554  0.29
Cl -24.6925 2.2332 27.2695  -0.18
C -23.8596 0.6972 27.1893  -0.46
C -24.0410 0.1371 25.7676  -0.42
Cl -25.7710 -0.4015 25.5742  -0.17
H -24.3288 0.0823 27.9574  0.31
H -22.8193 0.8863 27.4539  0.29
H -23.2822 -0.6132 25.5453  0.32
H -23.6844 0.9176 25.0954  0.32
Cl -30.9432 7.8631 29.9162  -0.19
C -29.3739 8.5649 30.1146  -0.37
C -29.5936 10.0437 30.5534  -0.47
Cl -28.1550 10.8189 31.3466  -0.21
H -28.6737 8.2939 29.3244  0.35
H -29.0002 7.9605 30.9412  0.25
H -30.3659 10.0380 31.3226  0.30
H -29.9863 10.6453 29.7338  0.34
Cl -25.6343 10.2933 22.9304  -0.17
C -25.1858 10.9095 21.3385  -0.38
C -25.8235 10.0553 20.2174  -0.48
Cl -24.9361 8.4814 20.0558  -0.18
H -24.0960 10.9060 21.3578  0.30
H -25.5428 11.9349 21.2422  0.28
H -25.8474 10.4800 19.2139  0.30
H -26.9043 9.9227 20.1679  0.35
Cl -13.6596 -0.3029 25.8311  -0.19
C -14.9902 -0.7245 26.9129  -0.39
C -16.2774 -0.9749 26.1666  -0.43
Cl -16.9915 0.3373 25.1888  -0.18
H -15.1044 0.0837 27.6352  0.29
H -14.5023 -1.5436 27.4413  0.29
H -17.0759 -1.2212 26.8664  0.29
H -16.2736 -1.8348 25.4968  0.32
Cl -21.6673 17.8685 33.9491  -0.20
C -21.5730 16.4389 35.1265  -0.47
C -20.8370 16.7954 36.4272  -0.37
Cl -19.1773 17.3519 36.2042  -0.17
H -21.1643 15.6219 34.5317  0.32

Scope of services

MOC Associates provided design managementservices to the principal contractor serving as the main point of contact between the client team and the designer. We set the project up to be fully BIM level 2 compliant, establishing the Common Data Environment (CDE) and overseeing the implementation of Manchester Airport Group’s (MAG) BIM protocols. As the project’s information manager, we facilitated dialogue and made detailed records of regular collaboration between the designer, airport stakeholders and contractor site teams. Six dedicated stakeholder engagement sessions during the pre-construction phase ensured all parties had the opportunity to participate in the design. The success of this format allowed the contracotr to secure the required feedback and approvals well in advance of the construction issue drawings while giving the airport confidence in the maturity of the design

Benefit to the contractor

MOC Associates has a long-established record of working at Stansted. Amongst other work, our staff have undertaken Pavement Condition Index (PCI) surveys at the airport covering almost 1.2 million m2 of concrete and asphalt inspections. We also have existing client team relationships, extending back over ten years. With this knowledge of the airport, we were able to provide our contractor client with local knowledge of the airfield and its supply chain. Additionally, our commitment to delivering BIM level 2 as standard for clients ensured the project was suitable for inclusion in their annual BSI audit

Summary of key points
  1. Successful implementation of BIM level 2 protocols for MAG and the principal contractor.
  2. Existing knowledge of airfield, client team and supply chain provided competitive edge in building stakeholder relations.
  3. First major UK airfield post-pandemic runway rehabilitation.